Data =
TaAsO4 | PBE | optimized geometry

energy of formation	-2532.4	meV per atom
largest piezoelectric modulus	1.2	C/m2
total magnetic moment	0.0	μB per cell

Geometry as CIF:
```
data_TaAsO4
_chemical_formula_sum 'Ta4 As4 O16'
_cell_length_a 3.940
_cell_length_b 14.616
_cell_length_c 5.678
_cell_angle_alpha 90.00
_cell_angle_beta 90.00
_cell_angle_gamma 90.00
_space_group_name_H-M_alt 'C m c 21'
_space_group_IT_number 36
loop_
_space_group_symop_operation_xyz
'x,y,z'
'-x,-y,z+1/2'
'-x,y,z'
'x,-y,z+1/2'
'x+1/2,y+1/2,z'
'-x+1/2,-y+1/2,z+1/2'
'-x+1/2,y+1/2,z'
'x+1/2,-y+1/2,z+1/2'
loop_
_atom_site_label
_atom_site_type_symbol
_atom_site_fract_x
_atom_site_fract_y
_atom_site_fract_z
_atom_site_occupancy
Ta1 Ta 0.000 0.091 0.000 1
As1 As 0.000 0.321 0.110 1
O1 O 0.000 0.017 0.277 1
O2 O 0.000 0.173 0.711 1
O3 O 0.000 0.204 0.198 1
O4 O 0.000 0.392 0.424 1
```


K2BaNb2S11 | PBE | optimized geometry

energy of formation	-1301.0	meV per atom
total magnetic moment	0.0	μB per cell

Geometry as CIF:
```
data_K2BaNb2S11
_chemical_formula_sum 'K16 Ba8 Nb16 S88'
_cell_length_a 14.860
_cell_length_b 12.919
_cell_length_c 17.779
_cell_angle_alpha 90.00
_cell_angle_beta 95.00
_cell_angle_gamma 90.00
_space_group_name_H-M_alt 'P 1 21/c 1'
_space_group_IT_number 14
loop_
_space_group_symop_operation_xyz
'x,y,z'
'-x,-y,-z'
'-x,y+1/2,-z+1/2'
'x,-y+1/2,z+1/2'
loop_
_atom_site_label
_atom_site_type_symbol
_atom_site_fract_x
_atom_site_fract_y
_atom_site_fract_z
_atom_site_occupancy
K1 K 0.109 0.123 0.067 1
K2 K 0.141 0.749 0.285 1
K3 K 0.148 0.053 0.410 1
K4 K 0.330 0.236 0.739 1
Ba1 Ba 0.349 0.570 0.428 1
Ba2 Ba 0.382 0.614 0.104 1
Nb1 Nb 0.100 0.047 0.835 1
Nb2 Nb 0.147 0.038 0.644 1
Nb3 Nb 0.381 0.614 0.860 1
Nb4 Nb 0.406 0.570 0.665 1
S1 S 0.018 0.558 0.231 1
S2 S 0.020 0.160 0.617 1
S3 S 0.060 0.204 0.904 1
S4 S 0.064 0.533 0.707 1
S5 S 0.072 0.575 0.045 1
S6 S 0.101 0.194 0.716 1
S7 S 0.117 0.574 0.426 1
S8 S 0.164 0.651 0.120 1
S9 S 0.197 0.189 0.888 1
S10 S 0.239 0.503 0.269 1
S11 S 0.257 0.578 0.595 1
S12 S 0.258 0.106 0.581 1
S13 S 0.276 0.680 0.932 1
S14 S 0.297 0.016 0.278 1
S15 S 0.327 0.060 0.079 1
S16 S 0.350 0.719 0.739 1
S17 S 0.368 0.076 0.375 1
S18 S 0.476 0.058 0.724 1
S19 S 0.492 0.107 0.538 1
S20 S 0.493 0.235 0.608 1
S21 S 0.494 0.649 0.584 1
S22 S 0.496 0.575 0.289 1
```

----------

a | Here is MgV2Bi2Pb2O10 after structural relaxation from the Materials Project. Energies are from PBE+U.

Cell lengths 6.004, 7.067, 7.739 Å; angles 76.33, 89.86, 65.11 degrees
Element x y z (fractional)
Mg1 0.000 0.000 0.000
V1 0.545 0.907 0.985
V2 0.870 0.256 0.238
Bi1 0.204 0.585 0.368
Bi2 0.215 0.563 0.834
Pb1 0.534 0.924 0.466
Pb2 0.834 0.322 0.634
O1 0.018 0.956 0.266
O2 0.090 0.292 0.379
O3 0.309 0.836 0.906
O4 0.405 0.195 0.895
O5 0.425 0.604 0.592
O6 0.603 0.787 0.225
O7 0.612 0.294 0.377
O8 0.845 0.319 0.001
O9 0.853 0.835 0.907
O10 0.966 0.603 0.593

## Properties
SG: P1

b | Here is MgV2Bi2Pb2O10 after structural relaxation from the Materials Project. Energies are from PBE+U.

Cell lengths 7.628, 7.628, 7.233 Å; angles 107.29, 107.29, 47.26 degrees
Element x y z (fractional)
Mg1 0.000 0.000 0.000
V1 0.357 0.022 0.159
V2 0.978 0.643 0.841
Bi1 0.495 0.463 0.247
Bi2 0.537 0.505 0.753
Pb1 0.156 0.126 0.561
Pb2 0.874 0.844 0.439
O1 0.050 0.192 0.224
O2 0.099 0.718 0.095
O3 0.208 0.461 0.693
O4 0.282 0.901 0.905
O5 0.309 0.691 0.500
O6 0.458 0.183 0.185
O7 0.539 0.792 0.307
O8 0.763 0.237 0.500
O9 0.808 0.950 0.776
O10 0.817 0.542 0.815

## Properties
SG: C2

Of them, a has the highest stability.

a | Here is MgVBiO5 after structural relaxation from the Materials Project. Energies are from PBE+U.

Cell lengths 5.402, 11.711, 8.005 Å; angles 90.00, 112.75, 90.00 degrees
Element x y z (fractional)
Mg1 0.050 0.079 0.177
Mg2 0.050 0.421 0.677
Mg3 0.950 0.579 0.323
Mg4 0.950 0.921 0.823
V1 0.313 0.648 0.029
V2 0.313 0.852 0.529
V3 0.687 0.148 0.471
V4 0.687 0.352 0.971
Bi1 0.441 0.095 0.824
Bi2 0.441 0.405 0.324
Bi3 0.559 0.595 0.676

What to do =
Copy only the lines above with the word "moment" in them, please.

Worked solution =
total magnetic moment	0.0	μB per cell
total magnetic moment	0.0	μB per cell